Metamaterials and Plasmonic optics provide mechanisms for controlling and taming electrons and electromagnetic waves in unprecedented ways. As the field of metamaterial reaches a certain level of development, new directions and novel vistas are appearing in the horizon. Modularization and parameterization of metamaterials may be exploited to provide new functionalities and possibilities stemming from such interesting platforms. These may include “meta-systems” that can be formed on the metamaterial paradigms, and new functionalities may result from proper combinations of meta-systems and metamaterials. In my group we have been exploring various features and characteristics of these concepts, topics, and directions in metamaterials, and we have been investigating new classes of applications such paradigms may provide. Some of the features of interest include nonlinearity, anisotropy, chirality, non- reciprocity, and non-locality. We have been developing the concept of “optical metatronics”, i.e. metamaterial-inspired optical nanocircuitry, in which the three fields of “electronics”, “photonics” and “magnetics” can be merged together. In such a paradigm, the concept of metamaterials and plasmonics optics can be exploited to bridge the gaps among these fields, to modularize, standardize, and parameterize some of the optical and electronic phenomena, and to transplant concepts from one field into another. In optical metatronics, the nanostructures with specific values of permittivity and permeability may
act as the optical lumped circuit elements at the nanoscale, analogous to the circuit elements in RF electronics. Nonlinearity in metatronics can also provide us with novel optical nonlinear lumped elements. Optical nanoantennas can link the “macroworld” with such optical metatronics. We have also been exploring how metamaterials can be exploited to control the flow of photons, as possibly one-way flow of photons. The concept of metatronics has now been extended to other platforms such as graphene as a new paradigm for metatronic circuitry and also as
one-atom-thick metamaterials and one-atom-thick transformation optical devices. Extreme-parameter metamaterials, such as epsilon-near-zero (ENZ) and mu-near- zero (MNZ) metamaterials have also offered unprecedented characteristics in electromagnetic wave propagation. In this series of lectures, I will discuss various topics in the fields of electromagnetic metamaterials and plasmonic optics, will present recent research findings, and will forecast future directions and possibilities in these fields.
About the Speaker

Prof. Nader Engheta received the B.S. degree in electrical engineering from the University of
Tehran, Tehran, Iran, and the M.S. and Ph.D. degrees in electrical engineering from the
California Institute of Technology (Caltech), Pasadena, CA, USA. He is the H. Nedwill
Ramsey Professor at the University of Pennsylvania, with affiliation in the departments of
Electrical and Systems Engineering, Bioengineering, Materials Science and Engineering, and
Physics and Astronomy. After spending one year as a Postdoctoral Research Fellow at Caltech and four years as a Senior Research Scientist at Kaman Sciences Corporation’s Dikewood Division, he joined the faculty of the University of Pennsylvania. He is also a member of the Mahoney Institute of Neurological Sciences. He was the Graduate Group Chair of Electrical Engineering from 1993 to His current research interests and activities span over a broad range of areas
including metamaterials and plasmonics, nanooptics and nanophotonics, nanocircuits and
Attached: materials data =
-- begin --
(1)
Below is a relaxed structure of Tc3Sn, with properties calculated at the GGA-PBE level.

The structure in extended XYZ format:
```
8
Lattice="5.653 0.000 0.000 -2.827 4.896 0.000 0.000 0.000 4.603" Properties=species:S:1:pos:R:3 pbc="T T T"
Tc 0.000 1.615 1.151
Tc -1.428 4.089 1.151
Tc 1.399 0.807 3.452
Tc 1.428 4.089 1.151
Tc 4.255 0.807 3.452
Tc 2.827 3.281 3.452
Sn 0.000 3.264 3.452
Sn 2.827 1.632 1.151
```

Summary:
energy above the most stable polymorph in this dataset	0.0285	eV per atom
calculated total energy	-8.54	eV/atom
calculated density	10.8	g cm⁻³
total magnetization	0.072	μB/atom
symmetry	P6_3/mmc (194)

(2)
Below is a relaxed structure of SrNi2N2, with properties calculated at the GGA-PBE level.

The structure in extended XYZ format:
```
5
Lattice="3.415 0.000 0.000 -1.707 2.957 0.000 0.000 0.000 6.058" Properties=species:S:1:pos:R:3 pbc="T T T"
Sr 0.000 0.000 0.000
Ni 0.000 1.971 2.314
Ni 1.707 0.986 3.744
N 0.000 1.971 4.265
N 1.707 0.986 1.794
```

Summary:
calculated total energy	-6.01	eV/atom
calculated density	6.3	g cm⁻³
total magnetization	0.002	μB/atom
symmetry	P-3m1 (164)

(3)
Below is a relaxed structure of Te4As2I2O, with properties calculated at the GGA-PBE level.

The structure in extended XYZ format:
```
9
Lattice="6.899 0.000 0.000 3.438 6.191 0.000 1.886 2.448 8.358" Properties=species:S:1:pos:R:3 pbc="T T T"
Te 0.000 0.000 0.000
Te 4.517 6.229 3.743
Te 5.303 4.044 7.852
Te 9.033 6.483 8.082
As 1.343 2.034 1.062
As 7.950 6.085 1.188
I 2.766 4.049 4.239
I 5.939 1.981 3.982
O 5.463 6.354 5.296
```

Summary:
calculated total energy	-3.39	eV/atom
calculated density	4.3	g cm⁻³
total magnetization	0.000	μB/atom
symmetry	P1 (1)

(4)
Below is a relaxed structure of Na6MgBi2O8, with properties calculated at the GGA-PBE level.

The structure in extended XYZ format:
```
17
Lattice="6.061 0.000 0.000 -2.361 5.785 0.000 -0.214 -0.334 6.937" Properties=species:S:1:pos:R:3 pbc="T T T"
Na 0.000 0.000 0.000
Na -2.188 4.977 4.276
Na 1.579 2.808 0.318
Na 0.589 5.435 5.570
Na 4.150 3.474 1.628
Na 4.619 2.351 5.740
Mg 5.219 0.993 2.491
Bi 0.435 5.574 1.988
Bi 1.697 2.606 4.027
O 0.586 1.239 5.270
O -0.308 4.108 3.383
O 1.039 1.079 1.953
O -0.252 4.487 0.328
O 3.577 1.147 3.700
O 2.627 3.682 5.667
O 2.451 4.785 2.272
O 3.997 1.280 0.844
```

Summary:
energy above the most stable polymorph in this dataset	0.0296	eV per atom
calculated total energy	-4.77	eV/atom
calculated density	4.8	g cm⁻³
total magnetization	0.000	μB/atom
symmetry	P1 (1)

(5)
Below is a relaxed structure of CeY4S7, with properties calculated at the GGA-PBE level.

The structure in extended XYZ format:
```
12
Lattice="6.531 -1.910 0.000 6.531 1.910 0.000 -2.938 0.000 11.326" Properties=species:S:1:pos:R:3 pbc="T T T"
Ce 0.000 0.000 0.000
Y 0.204 0.000 8.689
Y 6.527 0.000 4.450
Y 9.651 0.000 1.845
Y 9.903 0.000 6.556
S 1.269 0.000 2.630
S 1.443 0.000 5.984
S 4.777 0.000 0.947
S 5.277 0.000 7.162
S 5.568 0.000 10.548
S 8.690 0.000 8.956
S 11.094 0.000 4.144
```
-- stop --
nanostructures modeling, graphene photonics, one-way flow of photons, bio- inspired/biomimetic
polarization imaging and reverse engineering of polarization vision, minia“Mblcreees ednatiraee hrturized antennas and nanoantennas, hyperspectral sensing, biologically-based visualization and physics of sensing and
display of polarization imagery, fields and waves phenomena, fractional operators and fractional paradigm in electrodynamics. He has guest edited/co-edited several special issues, including the Journal of Electromagnetic Waves and Applications Special Issue on Wave Interaction with Chiral and Complex Media in 1992, the Journal of the Franklin Institute Special Issue on Antennas and Microwaves in 1995, the Wave Motion Special Issue on Electrodynamics in Complex Environments in 2001, the IEEE TRANSACTIONS ON ANTENNAS AND PROPAGATION Special Issue on Metamaterials in 2003, the Solid State Communications Special Issue on Negative Refraction and Metamaterials for Optical Science and Engineering in 2008, the IEEE Journal of Selected Topics in Quantum Electronics Special Issue on Metamaterials in 2010, and the Proceedings of IEEE Special Issue on Metamaterials: Fundamentals and Applications in Microwaves and Optical Regimes in 2011. He co-edited the book Metamaterials: Physics and Engineering Explorations (Wiley-IEEE Press, 2006). Dr. Engheta is a Guggenheim Fellow, an IEEE Third Millennium Medalist, a Fellow of IEEE, American Physical Society (APS), Optical Society of America (OSA), American Association for the Advancement of Science (AAAS), and of the SPlE-International Society for Optical Engineering. He is a member of Sigma Xi, Commissions B, D, and K of the U.S. National Committee (USNC) of the International Union of Radio Science (URSI), and a member of the Electromagnetics Academy. He was the Chair of the Commission B of USNC-URSI for 2009—2011 and of the Gordon Research Conference on Plasmonics in 2012. He was selected as one of the Scientific American Magazine 50 Leaders in Science and Technology in 2006 for developing the concept of optical lumped nanocircuits, and was the recipient of the 2012 IEEE Electromagnetics Award, the 2008 George H. Heilmeier Award for Excellence in Research, the Fulbright Naples Chair Award, an NSF Presidential Young Investigator award, UPS Foundation Distinguished Educator term Chair, and several teaching awards. He was an Associate Editor of the IEEE Antennas and Wireless Propagation Letters (2002—2007), of the IEEE TRANSACTIONS ON ANTENNA AND PROPAGATION (1996—2001), and Radio Science (1991—1996). He was on the Editorial Board of the Journal of Electromagnetic Waves and Applications. He is currently on the Editorial board of Waves in Random and Complex Media, Nanophotonics, Physical Review X (PRX), and of the Istituto Superiore Mario Boella Book Series in Radio Science. He served as an IEEE Antennas and Propagation Society Distinguished Lecturer for the period 1997—99
[1] N. Engheta and R. W. Ziolkowski, (editors), Metamaterials: Physics and Engineering Explorations, Wiley-IEEE Press, 414 pages, June 2006.
[2] A.AIu and N. Engheta, “Theory, Modeling and Features of Optical Nanoantennas,” IEEE Transactions on Antennas and Propagation, special issue on “Antenna and Propagation at mm- and sub mm-waves” (co-guest editors: Carlos Fernandes, Duixian Lui, Jiro Hirokawa, Jorge Costa and Ronan Sauleau), Vol. 6, No. 4, Part 1, pp. 1508-1517, April 2013.
[3] N. Engheta, “Pursuing Near-Zero Response”, A perspective article in Science, Vol. 340, pp. 286-287, April 19, 2013.
[4] N. Engheta, “Circuits with Light at Nanoscales: Optical Nanocircuits Inspired by Metamaterials,” Science, Volume 317, Issue 1, SeptemberA 21, 2007, pp. 1698-1702.
[5] G. V. Eleftheriades and N. Engheta, “Metamaterials: Fundamentals and Applications in the Microwave and Optical Regimes [Scanning the Issue],” Proceedings of the IEEE , vol.99, no.10, pp.1618,1621, Oct. 2011
[6] A. Alu and N. Engheta, “Optical Metamaterials Based on Optical Nanocircuits,” Proceedings of the IEEE, vol. 99, no. 10, pp. 1669-1681, Oct. 2011